Excel 精确单词匹配
Excel Exact Word Matching
假设我在单元格 A1 中有 "Vegas is great"。我想编写一个公式来查找单元格中的确切单词 "gas"。 Vegas ≠ gas,但我找到的唯一搜索公式:
returns 是的。反正有做精确匹配吗?理想情况下,我希望它不区分大小写,我相信通过将 A1 包装在 lower() 中可以满足这一点。
=OR(ISNUMBER(SEARCH(" gas",LOWER(A1), 1 )), LEFT(A1,3)= "gas")
Find function is case sensitive. The SEARCH function is not. There is no need for the LOWER function 如果您使用的是 SEARCH。
SEARCH(, , [可选])
将 find_text 和 within_text 包裹在空格中并执行搜索。
=ISNUMBER(SEARCH(" gas ", " "&A1&" "))
我认为要正确覆盖案例,您必须在术语 "gas" 和搜索术语前后填充 spaces。这将确保在单元格的开头或结尾找到气体,并防止在任何单词的中间找到气体。您的 post 不表示标点符号是否可以存在于文件中,但要在搜索周围容纳标点符号填充 spaces 将无法正常工作,您必须包括“gas”的大小写。“gas !" 等特别允许使用任何标点符号。如果您担心捕获 "gas.cost" 或类似值,您可以在标点符号搜索周围使用相同的填充。
=Or(ISNUMBER(SEARCH(" gas ", " "&A1&" ")),ISNUMBER(SEARCH(" gas. ", " "&A1&" ")))
是一个基本搜索,应该 return 单词 gas 本身,或者 "gas." 通过在搜索中 "gas." 之后填充 space 它将找到它作为句子中的最后一个词,或单元格的末尾。
创建 FindEngWord 函数的代码
Public Function FindEngWord(ByVal TextToSearch As String, ByVal WordToFind As String) As Boolean
Dim WrdArray() As String
Dim text_string As String
Dim isFound As Boolean
isFound = False
text_string = TextToSearch
WrdArray() = Split(text_string)
isFound = False
For i = 0 To UBound(WrdArray)
If LCase(WrdArray(i)) = LCase(WordToFind) Then
isFound = True
End If
Next i
FindEngWord = isFound
End Function
Public Function Split(ByVal InputText As String, _
Optional ByVal Delimiter As String) As Variant
' This function splits the sentence in InputText into
' words and returns a string array of the words. Each
' element of the array contains one word.
' This constant contains punctuation and characters
' that should be filtered from the input string.
Const CHARS = ".!?,;:""'()[]{}"
Dim strReplacedText As String
Dim intIndex As Integer
' Replace tab characters with space characters.
strReplacedText = Trim(Replace(InputText, _
vbTab, " "))
' Filter all specified characters from the string.
For intIndex = 1 To Len(CHARS)
strReplacedText = Trim(Replace(strReplacedText, _
Mid(CHARS, intIndex, 1), " "))
Next intIndex
' Loop until all consecutive space characters are
' replaced by a single space character.
Do While InStr(strReplacedText, " ")
strReplacedText = Replace(strReplacedText, _
" ", " ")
' Split the sentence into an array of words and return
' the array. If a delimiter is specified, use it.
'MsgBox "String:" & strReplacedText
If Len(Delimiter) = 0 Then
Split = VBA.Split(strReplacedText)
Next to the entry, the page also holds materials data:
'''
# 1
Density functional theory data (PBE-GGA) for Th2ZnSi4Ni3 after structural relaxation.

Calculated values
Uncorrected formation energy = -0.779 eV/atom
ρ = 8.34 g/cm³
Fermi-level density of states = 3.174 states/eV per cell

Unit cell a=4.0988 b=4.0988 c=9.6959 alpha=90.00 beta=90.00 gamma=90.00
Fractional positions:
Zn (0.5000, 0.5000, 0.5000)
Ni (0.5000, 0.0000, 0.8822)
Ni (0.0000, 0.0000, 0.5000)
Ni (0.0000, 0.5000, 0.1178)
Si (0.0000, 0.0000, 0.0000)
Si (0.0000, 0.5000, 0.3610)
Si (0.5000, 0.5000, 0.0000)
Si (0.5000, 0.0000, 0.6390)
Th (0.5000, 0.0000, 0.2439)
Th (0.0000, 0.5000, 0.7561)

# 2
Density functional theory data (PBE-GGA) for Pm4TlSnO after structural relaxation.

Calculated values
Uncorrected formation energy = -1.156 eV/atom
ρ = 7.88 g/cm³
Fermi-level density of states = 10.277 states/eV per cell

Unit cell a=6.6656 b=6.6569 c=9.3443 alpha=90.00 beta=110.90 gamma=90.00
Fractional positions:
Pm (0.0000, 0.0000, 0.5000)
Pm (0.5805, 0.2500, 0.1611)
Pm (0.4195, 0.7500, 0.8389)
Pm (0.5000, 0.0000, 0.5000)
Pm (0.0000, 0.5000, 0.5000)
Pm (0.0674, 0.7500, 0.1349)
Pm (0.5000, 0.5000, 0.5000)
Pm (0.9326, 0.2500, 0.8651)
Sn (0.6105, 0.7500, 0.2209)
Sn (0.3895, 0.2500, 0.7791)
O (0.2768, 0.7500, 0.5536)
O (0.7232, 0.2500, 0.4464)
Tl (0.8873, 0.7500, 0.7745)
Tl (0.1127, 0.2500, 0.2255)

# 3
Density functional theory data (PBE-GGA) for NaZr2TcPd after structural relaxation.

Calculated values
Calculated total energy = -5.31 eV/atom
ρ = 6.57 g/cm³
Fermi-level density of states = 4.960 states/eV per cell

Unit cell a=4.9334 b=4.2585 c=4.9334 alpha=90.00 beta=90.00 gamma=90.00
Fractional positions:
Na (0.0000, 0.0000, 0.0000)
Pd (0.0000, 0.5000, 0.0000)
Zr (0.0000, 0.0000, 0.5000)
Zr (0.5000, 0.0000, 0.0000)
Tc (0.5000, 0.5000, 0.5000)

# 4
Density functional theory data (PBE-GGA) for SbMo2Os after structural relaxation.

Calculated values
Uncorrected formation energy = 0.341 eV/atom
ρ = 12.70 g/cm³
Fermi-level density of states = 3.358 states/eV per cell

Unit cell a=5.3007 b=5.3007 c=5.3007 alpha=143.68 beta=130.97 gamma=62.53
Fractional positions:
Sb (0.2522, 0.7522, 0.5000)
Mo (0.7517, 0.2517, 0.5000)
Mo (0.0032, 0.0032, 0.0000)
Os (0.4929, 0.4929, 0.0000)

# 5
Density functional theory data (PBE-GGA) for Nd2YTm after structural relaxation.

Calculated values
Calculated total energy = -5.10 eV/atom
ρ = 6.85 g/cm³
Fermi-level density of states = 6.313 states/eV per cell

Unit cell a=5.0319 b=5.1302 c=5.1302 alpha=90.00 beta=90.00 gamma=90.00
Fractional positions:
Y (0.5000, 0.0000, 0.0000)
Nd (0.0000, 0.0000, 0.5000)
Nd (0.0000, 0.5000, 0.0000)
Tm (0.5000, 0.5000, 0.5000)

# 6
Density functional theory data (PBE-GGA) for CaS3Cl after structural relaxation.

Calculated values
Uncorrected formation energy = 0.327 eV/atom
ρ = 1.76 g/cm³
Fermi-level density of states = 6.384 states/eV per cell

Unit cell a=5.4522 b=5.4522 c=5.4522 alpha=90.00 beta=90.00 gamma=90.00
Each line ends with the local moment (μB).
Fractional positions:
'''
Split = VBA.Split(strReplacedText, Delimiter)
End If
End Function
可以从您的 excel sheet 中调用。
也可以在 VBA 中使用正则表达式来完成此操作。在正则表达式中,“\b”表示单词边界。单词边界定义为单词和非单词字符之间的位置或行的开头或结尾。单词字符是 [A-Za-z0-9_](字母、数字和下划线)。因此,可以使用此 UDF。您确实需要注意,包含非单词字符(例如连字符)的单词可能会受到与您预期不同的处理。如果您处理的是非英文字母,则需要修改 Pattern。
Option Explicit
Function reFindWord(FindWord As String, SearchText As String, Optional MatchCase As Boolean = False) As Boolean
Dim RE As Object
Dim sPattern As String
Set RE = CreateObject("vbscript.regexp")
sPattern = "\b" & FindWord & "\b"
With RE
.Pattern = sPattern
.ignorecase = Not MatchCase
reFindWord = .test(SearchText)
End With
End Function
假设我在单元格 A1 中有 "Vegas is great"。我想编写一个公式来查找单元格中的确切单词 "gas"。 Vegas ≠ gas,但我找到的唯一搜索公式:
returns 是的。反正有做精确匹配吗?理想情况下,我希望它不区分大小写,我相信通过将 A1 包装在 lower() 中可以满足这一点。
=OR(ISNUMBER(SEARCH(" gas",LOWER(A1), 1 )), LEFT(A1,3)= "gas")
Find function is case sensitive. The SEARCH function is not. There is no need for the LOWER function 如果您使用的是 SEARCH。
将 find_text 和 within_text 包裹在空格中并执行搜索。
=ISNUMBER(SEARCH(" gas ", " "&A1&" "))
我认为要正确覆盖案例,您必须在术语 "gas" 和搜索术语前后填充 spaces。这将确保在单元格的开头或结尾找到气体,并防止在任何单词的中间找到气体。您的 post 不表示标点符号是否可以存在于文件中,但要在搜索周围容纳标点符号填充 spaces 将无法正常工作,您必须包括“gas”的大小写。“gas !" 等特别允许使用任何标点符号。如果您担心捕获 "gas.cost" 或类似值,您可以在标点符号搜索周围使用相同的填充。
=Or(ISNUMBER(SEARCH(" gas ", " "&A1&" ")),ISNUMBER(SEARCH(" gas. ", " "&A1&" ")))
是一个基本搜索,应该 return 单词 gas 本身,或者 "gas." 通过在搜索中 "gas." 之后填充 space 它将找到它作为句子中的最后一个词,或单元格的末尾。
增强拆分功能 https://msdn.microsoft.com/en-us/library/aa155763
如何创建自定义宏 http://www.wikihow.com/Create-a-User-Defined-Function-in-Microsoft-Excel
创建 FindEngWord 函数的代码
Public Function FindEngWord(ByVal TextToSearch As String, ByVal WordToFind As String) As Boolean
Dim WrdArray() As String
Dim text_string As String
Dim isFound As Boolean
isFound = False
text_string = TextToSearch
WrdArray() = Split(text_string)
isFound = False
For i = 0 To UBound(WrdArray)
If LCase(WrdArray(i)) = LCase(WordToFind) Then
isFound = True
End If
Next i
FindEngWord = isFound
End Function
Public Function Split(ByVal InputText As String, _
Optional ByVal Delimiter As String) As Variant
' This function splits the sentence in InputText into
' words and returns a string array of the words. Each
' element of the array contains one word.
' This constant contains punctuation and characters
' that should be filtered from the input string.
Const CHARS = ".!?,;:""'()[]{}"
Dim strReplacedText As String
Dim intIndex As Integer
' Replace tab characters with space characters.
strReplacedText = Trim(Replace(InputText, _
vbTab, " "))
' Filter all specified characters from the string.
For intIndex = 1 To Len(CHARS)
strReplacedText = Trim(Replace(strReplacedText, _
Mid(CHARS, intIndex, 1), " "))
Next intIndex
' Loop until all consecutive space characters are
' replaced by a single space character.
Do While InStr(strReplacedText, " ")
strReplacedText = Replace(strReplacedText, _
" ", " ")
' Split the sentence into an array of words and return
' the array. If a delimiter is specified, use it.
'MsgBox "String:" & strReplacedText
If Len(Delimiter) = 0 Then
Split = VBA.Split(strReplacedText)
Split = VBA.Split(strReplacedText, Delimiter)
End If
End Function
可以从您的 excel sheet 中调用。
也可以在 VBA 中使用正则表达式来完成此操作。在正则表达式中,“\b”表示单词边界。单词边界定义为单词和非单词字符之间的位置或行的开头或结尾。单词字符是 [A-Za-z0-9_](字母、数字和下划线)。因此,可以使用此 UDF。您确实需要注意,包含非单词字符(例如连字符)的单词可能会受到与您预期不同的处理。如果您处理的是非英文字母,则需要修改 Pattern。
Option Explicit
Function reFindWord(FindWord As String, SearchText As String, Optional MatchCase As Boolean = False) As Boolean
Dim RE As Object
Dim sPattern As String
Set RE = CreateObject("vbscript.regexp")
sPattern = "\b" & FindWord & "\b"
With RE
.Pattern = sPattern
.ignorecase = Not MatchCase
reFindWord = .test(SearchText)
End With
End Function